- 名state jurisdiction

Through the comparative analysis on the disputes resolution arising from Cross-boarder Equity Transfers in English legal system , we noticed that such jurisdiction are in a trend expanding their domestic jurisdiction form their legislation and adjudication .
The state 's criminal jurisdiction is the power to punish crime .
Part 2 refers to the definition of the national criminal jurisdiction .
On the State 's Criminal Jurisdiction Stipulated by Law
# These materials data were left in the entry by mistake
-- begin --
(1)
## CoOF (PBE with a Hubbard U)

Data for CoOF after structural relaxation.

It has space group Pmn2_1 (No. 31), with a = 8.999 Å, b = 4.482 Å, c = 4.509 Å, α = 90.00°, β = 90.00° and γ = 90.00°. The asymmetric unit holds Co at (0.000, 0.229, 0.000), Co at (0.166, 0.725, 0.559), O at (0.000, 0.924, 0.726), O at (0.164, 0.426, 0.843), F at (0.000, 0.519, 0.314) and F at (0.159, 0.033, 0.231).

For the formation enthalpy at 0 K, the calculation gives -1585 meV/atom. As for the offset from the most stable computed form: 27 meV/atom.

***

(2)
## Co6O7F5 (PBE with a Hubbard U)

Data for Co6O7F5 after structural relaxation.

It has space group Amm2 (No. 38), with a = 8.749 Å, b = 6.109 Å, c = 6.968 Å, α = 90.00°, β = 90.00° and γ = 90.00°. The asymmetric unit holds Co at (0.000, 0.000, 0.000), Co at (0.158, 0.000, 0.455), Co at (0.331, 0.000, 0.957), Co at (0.500, 0.000, 0.463), O at (0.000, 0.000, 0.283), O at (0.162, 0.194, 0.966), O at (0.500, 0.188, 0.961), F at (0.000, 0.000, 0.639), F at (0.319, 0.000, 0.275) and F at (0.320, 0.000, 0.648).

For the formation enthalpy at 0 K, the calculation gives -1503 meV/atom. As for the offset from the most stable computed form: 1 meV/atom.

***

(3)
## Co6O5F7 (PBE with a Hubbard U)

Data for Co6O5F7 after structural relaxation.

It has space group C2 (No. 5), with a = 8.710 Å, b = 6.828 Å, c = 6.945 Å, α = 90.00°, β = 110.41° and γ = 90.00°. The asymmetric unit holds Co at (0.000, 0.000, 0.000), Co at (0.000, 0.038, 0.500), Co at (0.149, 0.544, 0.168), Co at (0.169, 0.542, 0.656), O at (0.000, 0.717, 0.000), O at (0.058, 0.543, 0.367), O at (0.101, 0.031, 0.304), F at (0.000, 0.346, 0.000), F at (0.180, 0.228, 0.677), F at (0.183, 0.853, 0.680) and F at (0.244, 0.039, 0.036).

For the formation enthalpy at 0 K, the calculation gives -1692 meV/atom. As for the offset from the most stable computed form: 25 meV/atom.

***

(4)
## Co2O3F (PBE with a Hubbard U)

Data for Co2O3F after structural relaxation.

It has space group C2/m (No. 12), with a = 17.548 Å, b = 5.871 Å, c = 4.388 Å, α = 90.00°, β = 92.67° and γ = 90.00°. The asymmetric unit holds Co at (0.000, 0.000, 0.000), Co at (0.000, 0.500, 0.000), Co at (0.125, 0.246, 0.499), Co at (0.243, 0.500, 0.026), O at (0.049, 0.249, 0.193), O at (0.077, 0.000, 0.688), O at (0.172, 0.500, 0.309), O at (0.202, 0.249, 0.805), F at (0.072, 0.500, 0.713) and F at (0.181, 0.000, 0.279).

For the formation enthalpy at 0 K, the calculation gives -1290 meV/atom. As for the offset from the most stable computed form: 24 meV/atom.
-- stop --
# So much for the materials data
On Coordination of Conflict and National Jurisdiction of Taxation
This paper emphasizes on the related legal problems of the jurisdiction for taxing E-commerce .
Study on National Criminal Jurisdiction
National jurisdiction at sea is an important part of national jurisdiction and a new development of national sovereignty under modern law system of the sea .
Number " 2 " refers that transnational taxpayers of FDI bear double or multiple taxation due to the overlap of two or more counrties ' tax jurisdiction .
National criminal jurisdiction is a specific embodiment of national power , which is the power that country adopts legislative , judicial and administrative methods to control a crime in short .
**Calculated crystals from another source follow:**
[1]
4
Lattice="-0.7993 2.7008 2.0518 0.4071 -2.0164 2.8127 5.8787 1.1511 -2.1841" Properties=species:S:1:pos:R:3 comment="NbAs (PBE, optimized geometry)" total_energy_ry_per_atom=-0.59216 sg="I4_1md, No. 109" piezo_max_c_m2=119.04 pbc="T T T"
As 1.9054 0.5007 0.0832
As 4.9503 0.2392 1.6136
Nb 5.2754 2.8417 1.2737
Nb 2.6377 1.0869 2.5560

[2]
4
Lattice="-1.9896 1.9896 4.5677 1.9896 -1.9896 4.5677 1.9896 1.9896 -4.5677" Properties=species:S:1:pos:R:3 comment="NbAs3 (PBE, optimized geometry)" total_energy_ry_per_atom=-0.43004 sg="I4/mmm, No. 139" pbc="T T T"
As 1.9896 0.0000 2.2839
As 0.0000 1.9896 2.2839
As 0.0000 0.0000 4.5677
Nb 0.0000 0.0000 0.0000

[3]
36
Lattice="-8.0562 8.0562 2.0224 8.0562 -8.0562 2.0224 8.0562 8.0562 -2.0224" Properties=species:S:1:pos:R:3 comment="Nb9As2O25 (PBE, optimized geometry)" corrected_energy_ev_per_atom=-8.797 total_energy_ry_per_atom=-0.61150 sg="I4/m, No. 87" pbc="T T T"
O -0.9461 6.5340 2.0224
O 0.8090 14.2311 0.0000
O 0.2611 4.5353 0.0000
O 4.0924 6.2591 0.0000
O 0.0000 0.0000 2.0224
O -1.7970 3.9638 2.0224
O 5.6436 2.6234 0.0000
O 9.0023 1.5221 0.0000
O 2.4126 5.4328 2.0224
O 11.5771 0.2611 0.0000
O 2.9135 3.4280 0.0000
O 7.7951 3.5209 2.0224
O 5.4328 -2.4125 2.0224
O 5.1427 4.6281 2.0224
O 9.8532 4.0924 0.0000
O -3.5209 7.7951 2.0224
O 2.6234 10.4687 0.0000
O 3.9638 1.7970 2.0224
O 1.5221 7.1100 0.0000
O 12.6843 2.9135 0.0000
O -4.6281 5.1427 2.0224
O 1.8812 0.8090 0.0000
O 7.2472 -6.1749 2.0224
O 6.1749 7.2472 2.0224
O 6.5340 0.9461 2.0224
Nb 6.4331 -4.4901 2.0224
Nb 4.4901 6.4331 2.0224
Nb 6.0473 2.9196 2.0224
Nb 0.0000 0.0000 0.0000
Nb -2.9196 6.0473 2.0224
Nb 10.9758 2.0088 0.0000
Nb 1.6230 12.5462 0.0000
Nb 3.5661 1.6230 0.0000
Nb 2.0088 5.1365 0.0000
As 8.0562 0.0000 1.0112
As 0.0000 8.0562 1.0112

[4]
13
Lattice="-5.3088 5.3088 1.9089 5.3088 -5.3088 1.9089 5.3088 5.3088 -1.9089" Properties=species:S:1:pos:R:3 comment="Nb5As4Pd4 (PBE, optimized geometry)" total_energy_ry_per_atom=-0.54521 sg="I4/m, No. 87" pbc="T T T"
Pd 4.1258 1.0213 1.9089
Pd 1.1830 4.2875 0.0000
Pd -1.0213 4.1258 1.9089
Pd 6.3301 1.1830 0.0000
As 2.7188 4.6087 1.9089
As 2.5900 0.7001 0.0000
As 0.7001 8.0276 0.0000
As 4.6087 -2.7188 1.9089
Nb 0.0000 0.0000 0.0000
Nb 1.2558 1.9956 1.9089
Nb 4.0530 3.3132 0.0000
Nb 3.3132 6.5646 0.0000
Nb 1.9956 -1.2558 1.9089

[5]
34
Lattice="6.9235 7.7377 0.0000 -6.9235 7.7377 0.0000 0.0000 1.5277 10.1306" Properties=species:S:1:pos:R:3 comment="Rb3Nb2AsSe11 (PBE, optimized geometry)" corrected_energy_ev_per_atom=-4.936 total_energy_ry_per_atom=-0.34037 sg="Cc, No. 9" pbc="T T T"
Se 1.4034 10.3478 4.4400
Se 0.6154 10.5969 6.6812
Se 1.4686 3.6065 1.7546
Se 2.5550 12.4158 8.6329
Se 3.4403 10.3523 2.1663
Se 2.2891 4.2604 9.1074
Se 5.7871 7.5478 3.6005
Se -5.7871 8.3116 8.6658
Se -1.4686 4.3703 6.8198
Se -2.6957 6.5788 1.0617
Se -1.4034 11.1117 9.5052
Se 4.5632 5.4595 0.1467
Se -3.4403 11.1161 7.2316
Se -2.2161 7.9659 7.6837
Se -2.2891 3.4965 4.0421
Se 2.2161 7.2020 2.6185
Se -4.5632 6.2233 5.2120
The jurisdiction of the ICC provided in the Roman Statute has a distinct character compared with the jurisdiction of national criminal litigation , and that of the prior International Criminal Tribunals .
It is still a firm precondition to rank E-commerce in the legal system of international taxing and to regard and strengthen the governmental Jurisdiction for Taxing , and any reorganization on current system and theory should promote this precondition , can 't be contrary .
The rapid development of e-commerce , proposing assaulting and challenges , such as traditional tax revenue system , taxation principle , taxation key element and state revenues jurisdiction followed for many years to people , the tax revenue loss question of online trade is outstanding day by day .
The water over which a nation exercises sovereign jurisdiction .
Roberta : So if we committed a crime right here , right now , which country would have jurisdiction ?
Parallel proceeding has been one of the most important ways to resolve the disputes of jurisdiction between two court of different country .
In cases of the parallel lawsuit of divorce , the judicial explanation of our country stipulates that the court of our country has always the right to administer .
Some countries believe the universal jurisdiction is a powerful weapon in the punishment of international crimes as well as making up the deficiencies of the traditional jurisdiction , some countries take rejective attitude toward the universal jurisdiction .
Protective Principle is one of the criteria for the decision of the space limits of criminal law , which bases on the defense ' right of Sovereignty in the international law and historically origin from Germany 's doctrine and Italian Middle Ages jurisprudence .
The ownership of the underwater cultural relics specified in Paragraphs ( 1 ) and ( 2 ) of Article 2 of these Regulations shall reside in the state and the state shall exercise jurisdiction over them ;
┌──
The following is a r2SCAN calculation of an optimized crystal structure of EuMg2Bi2, from the Materials Project.

- Energy relative to the elements: -0.71 eV per atom
- Volume: 31.54 Å³/atom
- Space group: P-3m1, No. 164
- Total magnetization: 1.400 μB per atom

Unit cell a=4.813 b=4.813 c=7.859 alpha=90.00 beta=90.00 gamma=120.00
Sites, in units of the cell vectors:
Eu  0.000  0.000  0.000
Mg  0.667  0.333  0.630
Mg  0.333  0.667  0.370
Bi  0.667  0.333  0.249
Bi  0.333  0.667  0.751

***

The following is a r2SCAN calculation of an optimized crystal structure of Eu2BiS4, from the Materials Project.

- Energy relative to the elements: -1.61 eV per atom
- Volume: 24.53 Å³/atom
- Space group: Pnma, No. 62
- Total magnetization: 1.857 μB per atom

Unit cell a=4.052 b=11.627 c=14.581 alpha=90.00 beta=90.00 gamma=90.00
Sites, in units of the cell vectors:
Eu  0.250  0.770  0.154
Eu  0.250  0.270  0.346
Eu  0.750  0.230  0.846
Eu  0.750  0.730  0.654
Eu  0.250  0.610  0.402
Eu  0.250  0.110  0.098
Eu  0.750  0.390  0.598
Eu  0.750  0.890  0.902
Bi  0.250  0.563  0.893
Bi  0.250  0.063  0.607
Bi  0.750  0.437  0.107
Bi  0.750  0.937  0.393
S  0.250  0.517  0.210
S  0.250  0.017  0.290
S  0.750  0.483  0.790
S  0.750  0.983  0.710
S  0.250  0.760  0.801
S  0.250  0.260  0.699
S  0.750  0.240  0.199
S  0.750  0.740  0.301
S  0.250  0.561  0.594
S  0.250  0.061  0.906
S  0.750  0.439  0.406
S  0.750  0.939  0.094
S  0.250  0.829  0.518
S  0.250  0.329  0.982
S  0.750  0.171  0.482
S  0.750  0.671  0.018

***

The following is a r2SCAN calculation of an optimized crystal structure of BiF5, from the Materials Project.

- Energy relative to the elements: -1.86 eV per atom
- Volume: 16.22 Å³/atom
- Excess energy over the best structure of this formula in the dataset: 1.4 kJ per mole of atoms
- Space group: P2_1/c, No. 14
- Total magnetization: 0.000 μB per atom

Unit cell a=10.087 b=5.097 c=8.243 alpha=66.71 beta=90.00 gamma=90.00
Sites, in units of the cell vectors:
Bi  0.754  0.118  0.605
Bi  0.254  0.882  0.895
Bi  0.246  0.882  0.395
Bi  0.746  0.118  0.105
F  0.855  0.478  0.553
F  0.355  0.522  0.947
F  0.145  0.522  0.447
F  0.645  0.478  0.053
F  0.597  0.338  0.480
F  0.097  0.662  0.020
F  0.403  0.662  0.520
F  0.903  0.338  0.980
F  0.417  0.097  0.786
F  0.917  0.903  0.714
F  0.583  0.903  0.214
F  0.083  0.097  0.286
F  0.154  0.245  0.835
F  0.654  0.755  0.665
F  0.846  0.755  0.165
F  0.346  0.245  0.335
F  0.690  0.113  0.854
F  0.190  0.887  0.646
F  0.310  0.887  0.146
F  0.810  0.113  0.354

***

The following is a r2SCAN calculation of an optimized crystal structure of BiF5, from the Materials Project.

- Energy relative to the elements: -1.86 eV per atom
- Volume: 16.21 Å³/atom
- Excess energy over the best structure of this formula in the dataset: 1.4 kJ per mole of atoms
- Space group: P2_1/c, No. 14
- Total magnetization: 0.000 μB per atom

Unit cell a=10.105 b=5.085 c=8.251 alpha=66.60 beta=90.00 gamma=90.00
└──
It is a national territorial jurisdiction extended out from national sovereignty , it is expansion and extension of coastal states territorial jurisdiction beyond territorial waters , it is an exception of high seas freedom principle .
The second chapter is the extraterritorial legislation of the civil jurisdiction objection system , mainly introduces the system of the extraterritorial representative countries , such as France , Germany , and the United State , simultaneously analyzing the system of the extraterritorial representative countries .
From the theoretic aspects this paper mainly introduces the restrictions on state sovereignty stem from treaties , customs and general principles of law . From the realistic aspects this paper mainly presents the restriction on countries territorial jurisdiction and judicial jurisdiction .
In order to share the achievement of economic globalization , the country have to transfer part sovereignty in economic management , policy decision and jurisdiction .
On the problem of states engaging in tortuous acts , the author mainly studies the determination of tortuous acts and the elements of exercising of jurisdiction over state tortuous acts .